+ short stories pt 6 +

327 11 4

Happy late bday Demiah_neil hope you had a great bday girly ❤️!
This one is longer , enjoy ❤️

After Dejuane helped me take a shower , changed the sheet and everything I asked him

You: dejuane...
D: yes ma'am?
You: was I you umm..
Dejuane * silent *
You: it fine..
Dejuane: ansley ofc you were .. I just wanted to make you think I knew what I was doing bc you were really good..
You: aww dejuane..

I started thinking tho.. like every first I'm having .. he's already like had it ( if you've watched to all the boys yk💞) he was really slow to tell me yes but I mean his explain makes sense . Why would he lie to me .. but it's weird bc it's jus like that was a part of me. But I don't regret it at all

Dejuane: ansley
You: yes what's up
D: how was your first time ?
You: it was amazing, it was w my fav person ever
Dejuane: I wish you would've gave me a notice it was like so rushed I could've bought you flowers and stuff and made your first time cute nd like unforgettable
You: no Dejuane, it was perf, thank you
* he kisses you on the forehead and goes to sleep *

About two hours later it's 1am in the morning, Dejuane is sleep but gets a text


my heart dropped- he said I was his firs- I can't believe he lied.. I do remember the day we all went to the mall her saying a remark abt something but Dejuane wouldn't tell me.. I silently start to cry .. until I cry myself to sleep I have no words ...

........
First-principles (PBE) data for an optimized crystal structure of SiO2, as listed in the Materials Project database.

POSCAR file:
```
SiO2
1.0
-1.147 -8.671 -4.648
6.499 -4.181 6.196
-6.322 -1.996 5.284
O Si
32 16
Direct
0.459 0.683 0.718
0.817 0.041 0.218
0.853 0.150 0.500
0.959 0.817 0.282
0.307 0.193 0.750
0.317 0.459 0.782
0.541 0.317 0.718
0.693 0.807 0.250
0.650 0.353 0.000
0.183 0.959 0.782
0.693 0.807 0.750
0.817 0.041 0.782
0.183 0.959 0.218
0.959 0.817 0.718
0.041 0.183 0.718
0.350 0.647 0.000
0.150 0.147 0.000
0.353 0.350 0.500
0.147 0.850 0.500
0.683 0.541 0.218
0.041 0.183 0.282
0.541 0.317 0.282
0.307 0.193 0.250
0.317 0.459 0.218
0.807 0.307 0.250
0.647 0.650 0.500
0.683 0.541 0.782
0.850 0.853 0.000
0.807 0.307 0.750
0.193 0.693 0.750
0.193 0.693 0.250
0.459 0.683 0.282
0.379 0.330 0.313
0.879 0.170 0.313
0.330 0.621 0.813
0.670 0.379 0.813
0.621 0.670 0.313
0.121 0.830 0.313
0.670 0.379 0.187
0.170 0.121 0.813
0.330 0.621 0.187
0.830 0.879 0.813
0.879 0.170 0.687
0.379 0.330 0.687
0.830 0.879 0.187
0.121 0.830 0.687
0.621 0.670 0.687
0.170 0.121 0.187
```



First-principles (PBE) data for an optimized crystal structure of SmRh3, as listed in the Materials Project database.

POSCAR file:
```
SmRh3
1.0
2.659 -4.605 0.000
2.659 4.605 0.000
0.000 0.000 17.640
Rh Sm
18 6
Direct
0.000 0.000 0.500
0.167 0.334 0.373
0.167 0.833 0.373
0.833 0.666 0.627
0.000 0.000 0.000
0.334 0.167 0.873
0.833 0.167 0.873
0.333 0.667 0.250
0.833 0.167 0.627
0.666 0.833 0.127
0.167 0.833 0.127
0.000 0.000 0.750
0.833 0.666 0.873
0.666 0.833 0.373
0.000 0.000 0.250
0.167 0.334 0.127
0.667 0.333 0.750
0.334 0.167 0.627
0.667 0.333 0.458
0.667 0.333 0.250
0.667 0.333 0.042
0.333 0.667 0.542
0.333 0.667 0.958
0.333 0.667 0.750
```



First-principles (PBE) data for an optimized crystal structure of Sr5Ti5O13, as listed in the Materials Project database.

POSCAR file:
```
Sr5Ti5O13
1.0
4.515 -0.618 -3.257
3.980 2.370 5.047
-2.591 -7.982 2.717
Ti Sr O
5 5 13
Direct
0.500 0.000 0.500
0.293 0.207 0.111
0.707 0.793 0.889
0.889 0.607 0.292
0.111 0.393 0.708
0.901 0.097 0.306
0.703 0.299 0.897
0.500 0.500 0.500
0.099 0.903 0.694
0.297 0.701 0.103
0.615 0.383 0.207
0.704 0.782 0.417
0.000 0.000 0.000
0.806 0.204 0.591
0.411 0.069 0.284
0.296 0.218 0.583
0.218 0.294 0.902
0.782 0.706 0.098
0.589 0.931 0.716
0.194 0.796 0.409
0.385 0.617 0.793
0.892 0.597 0.790
0.108 0.403 0.210
```



First-principles (PBE) data for an optimized crystal structure of Na2TaAl3P4S2O24, as listed in the Materials Project database.

POSCAR file:
```
Na2TaAl3P4S2O24
1.0
8.454 0.003 0.010
-4.224 7.325 0.002
0.025 0.021 22.050
Na P O S Al Ta
6 12 72 6 9 3
Direct
0.334 0.667 0.666
0.003 0.000 0.999
0.331 0.660 0.162
0.997 0.996 0.500
0.667 0.333 0.830
0.675 0.337 0.332
0.725 0.010 0.749
0.323 0.948 0.919
0.040 0.670 0.420
0.988 0.273 0.249
0.724 0.714 0.248
0.050 0.372 0.918
0.964 0.630 0.086
0.625 0.680 0.918
0.285 0.276 0.749
0.372 0.334 0.088
0.990 0.715 0.749
0.626 0.960 0.420
........
# Back to the text

The morning time

Dejuanes pov
I check my phone it's 10 and I see I got a text from maya.. ughh what does she want now she always starting stuff.. I don't look at it I go to the bathroom where Ansley is and talk to her

Me: heyyyy
Ansley I'm not in the mood rn dejuane
Me: damn what's wrong .. do I need to beat someone up ?
Ansley: start w yourself
Me: I.., what do you mean
Ans tries to leave I stop her
Me: talk to me ..
Ansley: there's nothing to talk about
Me: obviously it's something to talk about if it has u like this .. you look a mess ..
Ansley: ouch dejuane.. you know.. you were really helping me with the pain of my mom and then I decided I wanted to give you a peice of me and you lie to me abt it .. I can't believe you get out my way
* scoffs *
Ansley: now you're laughing and trying to play innocent? Classic dejuane wins agains guys he never fails
( woah I jus yelled at ansley I didn't mean to.. she jus left her mom and I don't think I'm making it all tht easy rn )
Me: ansley I'm sorry I didn't mean to yell..but can you please tell me what's goin on
Her: well since you wanna play dumb let's look at the proof tg.. give me your phone
Me: it's in the room come on we'll get it
* she goes to mayas contact and opens it *
Ans: oh but you don't what I'm talking abt ?
Me: I- ansley- I'm-
Ansley: I don't want to hear it . Jus ugh bye
Me: where are u going ?
Ansley: getting far asl as I can from you
Me: ansley no please let me explain
Ansley: ghat you think I'm a joke ? Some fan girl ? Some toy ? You can lie to ? Dejuane you lied abt something really special to me.. it may not mean a whole lot to you but it does for me.. I wouldn't have cared it's jus the fact you lied to me.. what else have I lied abt. And then out of all ppl you know I don't like her.. but it's cool, don't worry abt it, it's whatever I don't care
Me: ansley.. no no no it's not like that please let me explain
* I run and go tackle her and don't let her off the ground so she can't go anywhere *
Ansley , it's not like that .. I only said yes bc you seemed happy.. I didn't want to tell you , you weren't the first ..
* she's not talking nor looking my direction *
Me; I never thought you'd figure out abt this.. it was a mistake .. ansley I was drunk ..I went to her house and her parents weren't there and one thing led to another ...
* I see Ansley start to cry *
Me: I'm so sorry
Ansley:are u really dejuane? You've been saying that a lot lately .. Jus leave me alone

Ans pov
I went to another room and cried for abt 15 minutes.. it's crazy bc I was so mad at dejuane but he's the only one I want to be cuddled up with rn.. but im mad at him.. how could he lie about something like that.. I get a text

Attached: materials data:
'''
Compound: CrP2H15O14
Source: the Materials Project
Functional: PBE with a Hubbard U
Structure: optimized geometry

```
64
Lattice="7.091 0.000 0.000 3.202 8.334 0.000 0.156 4.033 9.881" Properties=species:S:1:pos:R:3 pbc="T T T"
Cr 1.951 1.632 2.254
Cr 8.497 10.735 7.627
P 3.651 8.579 7.091
P 3.881 10.061 9.595
P 6.567 2.306 0.286
P 6.798 3.788 2.789
H 1.531 5.534 8.189
H 1.335 3.987 8.125
H 2.128 4.127 4.470
H 2.272 4.765 5.925
H 4.412 9.107 4.634
H 2.915 3.757 0.972
H 4.261 7.880 3.569
H 3.873 5.965 2.465
H 3.793 5.719 4.040
H 5.595 7.674 0.849
H 3.795 2.426 0.582
H 3.488 4.319 8.171
H 4.593 6.665 6.685
H 3.450 3.074 5.847
H 6.101 10.026 6.476
H 4.347 2.341 3.404
H 6.998 9.293 4.034
H 5.856 5.702 3.196
H 6.960 8.048 1.709
H 6.653 9.941 9.299
H 4.854 4.693 9.032
H 6.656 6.648 5.841
H 6.576 6.402 7.416
H 6.188 4.487 6.312
H 7.534 8.610 8.908
H 6.036 3.260 5.246
H 8.176 7.602 3.956
H 8.320 8.240 5.410
H 9.114 8.380 1.756
H 8.917 6.833 1.692
O 0.359 1.322 1.089
O 1.157 3.333 3.007
O 3.112 5.533 1.024
O 1.907 4.711 7.786
O 4.200 8.877 3.675
O 2.780 4.490 5.120
O 4.012 8.714 8.656
O 3.654 7.026 6.834
O 2.886 2.763 0.880
O 4.691 9.285 6.255
O 4.301 6.211 3.348
O 5.288 10.625 9.728
O 6.003 8.302 1.538
O 3.520 1.772 3.514
O 6.929 10.595 6.367
O 4.446 4.065 8.343
O 5.161 1.742 0.152
O 6.147 6.156 6.533
O 5.757 3.082 3.626
O 7.563 9.604 9.000
O 6.795 5.341 3.047
O 6.437 3.653 1.225
O 7.669 7.877 4.761
O 6.249 3.490 6.206
O 8.542 7.656 2.094
O 7.337 6.834 8.857
O 9.291 9.034 6.874
O 10.090 11.045 8.792
```

Calculated values
Electronic total energy: -5.708 eV/atom
Symmetry: P-1, No. 2

Compound: FeOF
Source: the Materials Project
Functional: PBE with a Hubbard U
Structure: optimized geometry

```
18
Lattice="5.683 0.000 0.000 2.002 5.328 0.000 2.644 1.848 6.959" Properties=species:S:1:pos:R:3 pbc="T T T"
Fe 0.000 0.000 0.000
Fe 1.442 1.044 3.434
Fe 3.070 2.108 1.178
Fe 4.618 2.941 4.678
Fe 7.170 5.014 5.751
Fe 6.083 4.227 2.428
O 3.116 3.744 0.020
O 4.952 5.810 2.336
O 6.065 4.142 4.380
O 5.594 1.305 4.660
O 4.609 1.598 0.000
O 7.185 2.603 2.303
F 3.331 4.556 4.656
F 2.773 1.872 4.893
F 4.359 3.009 6.685
F 4.385 3.007 2.624
F 6.059 4.184 0.321
F 7.774 5.370 2.078
```

Calculated values
Electronic total energy: -5.995 eV/atom
Symmetry: P1, No. 1

Compound: V4O3F9
Source: the Materials Project
Functional: PBE with a Hubbard U
Structure: optimized geometry

```
16
Lattice="4.709 -2.626 0.000 4.709 2.626 0.000 -2.836 0.000 8.621" Properties=species:S:1:pos:R:3 pbc="T T T"
V -0.001 0.000 3.271
V 3.220 -0.203 1.118
V 3.362 -0.203 7.503
V 6.584 0.000 5.349
O 4.042 -1.513 1.792
O 2.541 -1.513 6.829
O 3.291 -2.262 4.310
F 3.843 1.022 2.535
F 2.740 1.022 6.085
F 1.564 -0.514 2.149
F 4.709 0.439 0.000
F 0.810 -1.120 4.710
F -0.377 -1.162 8.204
F 5.019 -0.514 6.472
F 5.772 -1.120 3.911
F 6.960 -1.162 0.417
```

Calculated values
Electronic total energy: -6.409 eV/atom
Symmetry: C2, No. 5

Compound: V3O5F
Source: the Materials Project
Functional: PBE with a Hubbard U
'''
The materials data stop here:

Unknown number
Hey mamas😏

Who is this ?

Mikey.. you don't remember me ?

Ohhh .. heyyy mikey

What's been up w you ? How you been ?

Ummm not the best lol.. what abt u ?

What's wrong ? That's nigga do sum ?


Oh say less..

No no no it's fine.. we'll work it out , we always do even if it results in us not being friends ..

We should get to hang and kno each other .. want to FaceTime and tell me abt your problems ?

Sure why not .. I don't really have friends so sure

Dejuanes pov
Bro I fucked up..I feel so bad ansley basically was the first one bc I was drunk w maya and barely remember it .. I hear her otp.. I go to the door

Yo ans .. who you talkin to

Ansley: none of your business go away

Is that mik-


wow she's talking to the boy who made me change schools ... wow I never thought she'd do this .. is this her trying to get back at me ....

Word count 1009
Did not word check 💛

' b e s t f r i e n d s ✨ dejuane and ansely 💞Where stories live. Discover now